Sara Hershkowitz Soprano

Les Contes D´Hoffmann

Sara Hershkowitz possesses a flexible, beautiful voice with huge presence—a wild, beautiful animal— with which she masters the frivolous love doll Olympia, the morbid sensuality of Antonia, and the coldness of professional-seductress Giulietta.
— Opernwelt
The young soprano Sara Hershkowitz triumpths quite sensationally as the four heroines. A passionate performer, she effortlessly masters the different vocal and dramatic demands: The Antonia Act ( director: Christopher Alden) despite the break in logic, gets under ones skin the most, which is clearly also due to Hershkowitz´s intensity as a performer.
Whether with capricious coloratura as Olympia and various acrobatic body movements, the long, warm, lyrical outpourings as Antonia in her intense angst, or the sharp sensuality of Giulietta, one thing is clear: with Sara Hershkowitz, the ensemble has won the lottery.
— Opernnetz
The Los Angeles born Sara Hershkowitz presents herself as a thrilling actress with a model figure and a lyrical coloratura that is ideal for the four heroines.
— Der Neue Merker


Ariadne auf Naxos

The brilliant coloratura role of Zerbinetta is sung with coolness and charm by the American soprano Sara Hershkowitz, who has the audience eating out of the palm of her hand.
As Zerbinetta, Sara Hershkowitz sang with remarkable agility and command of her top register, combined with touching sincerity in her duet with the composer.
As the jester-queen Zerbinetta, Sara Hershkowitz does a fantastic job with fine comic timing in the breakneck twelve minute long aria Grossmaechtige Prinzessin.


Turn of the Screw

As the Governess, Sara Hershkowitz inspired limitless enthusiasm. Her slender controlled soprano, with it’s light, attractive height, and her intensity as an actress were the ingredients for her outstanding performance.
— Wolfgang Denker,
In the central role of the Governess, Sara Hershkowitz jumped in for the ailing Nadine Lehner. With her expressively strong lyric soprano and her articulatory exact word treatment, she was capable of transforming into an ever-more despairing figure, and gave a strong character-profile.
— Gerhard Asche, Weser Kurier
Sara Hershkowitz played the Governess with great empathic intuition.
— Carola Jabowski, Opernpoint
The audience offered the brilliant and exhausted Hershkowitz four ovations… with her superb soprano voice, she punctuated the frightfull interpretation.
— Andreas Moll, Radio Bremen
Sara Hershkowitz is practically the perfect incarnation of the Governess’s ambiguity, able to calmly communicate repressed hysteria, then a near-calm that is somehow terrifying, all the while in full control of the jagged tessitura with absolute precision, flawless intonation, clarity, and pleasing tone.
— GBOpera Magazine

== Someone pasted data records at this point ==
- - -
An optimized crystal structure of AcScSb2O8. Source: the Alexandria database, functional PBE.

a b c (Å): 6.290 6.290 6.290
angles (deg): 107.07 107.07 114.39
Element x y z (fractional)
Ac 0.000 0.000 0.000
Sc 0.750 0.250 0.500
Sb 0.250 0.750 0.500
Sb 0.500 0.500 0.000
O 0.047 0.373 0.326
O 0.047 0.722 0.674
O 0.124 0.322 0.802
O 0.278 0.953 0.326
O 0.520 0.322 0.198
O 0.627 0.953 0.674
O 0.678 0.480 0.802
O 0.678 0.876 0.198

N(E_F) (states/eV/f.u.): 0.0
Crystal system: tetragonal
Uncorrected formation energy (eV per formula unit): -25.00

An optimized crystal structure of AcCe2MgTl4. Source: the Alexandria database, functional PBE.

a b c (Å): 10.307 10.307 10.307
angles (deg): 30.07 30.07 30.07
Element x y z (fractional)
Ac 0.000 0.000 0.000
Ce 0.236 0.236 0.236
Ce 0.764 0.764 0.764
Mg 0.500 0.500 0.500
Tl 0.126 0.126 0.126
Tl 0.386 0.386 0.386
Tl 0.614 0.614 0.614
Tl 0.874 0.874 0.874

N(E_F) (states/eV/f.u.): 15.7
Crystal system: trigonal
Energy relative to the elements (eV per atom): -0.23

An optimized crystal structure of LiHg3C. Source: the Alexandria database, functional PBE.

a b c (Å): 5.224 5.224 5.224
angles (deg): 90.00 90.00 90.00
Element x y z (fractional)
Li 0.000 0.000 0.000
Hg 0.000 0.000 0.500
Hg 0.000 0.500 0.000
Hg 0.500 0.000 0.000
C 0.500 0.500 0.500

N(E_F) (states/eV/f.u.): 5.0
Crystal system: cubic
Offset from the most stable computed form (kJ/mol of formula units): 227.9
Energy relative to the elements (eV per atom): 1.33

An optimized crystal structure of Tm2Zr3UN6. Source: the Alexandria database, functional PBE.

a b c (Å): 5.763 5.763 5.760
angles (deg): 99.52 99.52 119.99
Element x y z (fractional)
Tm 0.167 0.833 0.000
Tm 0.833 0.167 0.000
Zr 0.000 0.000 0.500
Zr 0.329 0.671 0.500
Zr 0.671 0.329 0.500
U 0.500 0.500 0.000
N 0.090 0.416 0.748
N 0.260 0.260 0.252
N 0.416 0.090 0.748
N 0.584 0.910 0.252
N 0.740 0.740 0.748
N 0.910 0.584 0.252

N(E_F) (states/eV/f.u.): 4.5
Crystal system: monoclinic
Uncorrected formation energy (eV per formula unit): -20.58

An optimized crystal structure of TiAg3Bi3Se8. Source: the Alexandria database, functional PBE.

a b c (Å): 8.209 8.209 8.209
angles (deg): 60.13 60.13 60.13
Element x y z (fractional)
Ti 0.000 0.000 0.000
Ag 0.000 0.000 0.500
Ag 0.000 0.500 0.000
Ag 0.500 0.000 0.000
Bi 0.000 0.500 0.500
Bi 0.500 0.000 0.500
Bi 0.500 0.500 0.000
Se 0.221 0.774 0.774
Se 0.226 0.226 0.779
Se 0.226 0.779 0.226
Se 0.244 0.244 0.244
Se 0.756 0.756 0.756
Se 0.774 0.221 0.774
Se 0.774 0.774 0.221
Se 0.779 0.226 0.226

Crystal system: trigonal
Uncorrected formation energy (eV per formula unit): -6.10

An optimized crystal structure of Pm3DyHoTh. Source: the Alexandria database, functional PBE.

a b c (Å): 8.048 5.098 10.204
angles (deg): 90.00 108.76 90.00
Element x y z (fractional)
Pm 0.169 0.250 0.291
Pm 0.170 0.750 0.543
Pm 0.177 0.750 0.044
Pm 0.823 0.250 0.956
Pm 0.830 0.250 0.457
Pm 0.831 0.750 0.709
Dy 0.498 0.250 0.628
Dy 0.502 0.750 0.372
Ho 0.178 0.250 0.795
- - -


Die Entführung aus dem Serail

As Konstanze, the American singer Sara Hershkowitz brings the poise and confidance of a Queen of the Night to her top notes. With admirable, seemingly effortless lightness, she masters the difficult role. And she sings her bravura-aria Martern aller Arten with so much expression and finesse, it is a joy to listen to her.
— Thomas Schmitz-Albohn, Giessener Anzeiger
The role of Konstanze is sung by the American soprano Sara Hershkowitz. She delivers to us her pure voice from the very first aria “Ach ich liebte” in spite of the tension imposed on her by the eleven high D’s. She reveals to us brilliantly the portrait of a tragic heroine
— Musebaroque Magazine


Der Zwerg

Sara Hershkowitz delivers the Infantin with a flawlessly lead soprano and a slightly cool, doll-like Coquettishness.
— Gerhard Asche,
Sara Hershkowitz is the beautiful villain with her attractively playful woman/child cruelty and a fittingly cool soprano timbre.
— Gerhard R. Koch,
Sara Hershkowitz was a vocally virtuosic, perfectly acting and playfully heartless Infantin.
— Hartmut Lück, Frankfurter Rundschau
Sara Hershkowitz as Donna Clara is as cold as ice, her soprano shines like gleaming silver.
— Sigrid Schür, Die Welt
…The saucy, heartless Infantin (piercingly clear: Sara Hershkowitz).
— Wolfgang Schreiber, Süddeutsche Zeitung



Breathtakingly expressive and stunningly beautiful, Hershkowitz allows the coloratura of Zaide to move like pearls through her throat, with more lightness than spoken language could ever dream of achieveing. The staging… Stop. Back again to Hershkowitz. Sure, the two orchestras, the synchronized conducting of Daniel Montane in the orchestra pit and Florian Pestel on stage were poised, also Benjamiun Bruns as Gomatz was excellent, and Yaron Windmüller and Noa Frenkel shone as the Man/ Woman pair from Adama… But Hershkowitz is simply the perfect opera singer. Not only does she sing absolutely precisely, clear, and pure… Hershkowitz stands on the stage without embarassing pathos, without over-used false feeling, and without a cramped upper lip. She embodies her role better than some actresses could. A force.
— Benno Schirrmeister,
Sara Hershkowitz was a wonderfully beautiful singer and a touching Zaide, who took on charismatic features at the end with her calls for peace.
— Ute Schalz Laurenz, Kreiszeitung


Die Fledermaus

Happily, the splendid Sara Hershkowitz is already at the theater and vocally outshines the entire ensemble in her role as Adele. On one hand, the naive chamber maid, on the other the saucy girl who invents a story of a sick aunt so as to attend Orlovsky’s ball – all of this Hershkowitz masters with absolute vocal confidence, pearly coloratura, and a playful wittiness that brought the public great joy.
— Christian Schütte,


Le Grand Macabre

…And Sara Hershkowitz, as the ultra-cool Gepopo, could stand on any straight-actors stage. Yet this would be a shame, as to hear her flexible, perfectly balanced soprano is an experience.
— Benno Schirrmeister, Taz,


The Magic Flute

As the Queen of the Night Sara Hershkowitz shot out her high notes regally and dead-on accurate.
— Wolfgang Denker,
Sara Hershkowitz (Queen of the Night) sang her lyrical first aria as well as her rage-filled second aria with fantastic, pitch-perfect coloratura.
— Karola Jakubowski, Opernpoint


Der Rosenkavalier

…Sara Hershkowitz is a poised and confident Sophie, with her fine soprano, clear diction, and flawless intonation, …
— Christian Schütte,
Sara Hershkowitz enchants as Sophie, with her silvery timbre and finely polished high tones.
— Wolfgang Denker,


Don Giovanni

Sara Hershkowitz is somehow perfect as Donna Anna, and with her eye-rolling gestures created real satire out of the hysterical coloratura outbursts.
— Benno Schirrmeister,
Sara Hershkowitz sang Donna Anna with passion, bite, and vocal polish.
— Wolfgang Denker,
Sara Hershkowitz as Donna Anna delivered an intense study and scored high points with the role.
— Hermann Habitz,
One cannot help but fall for the charm of the beautiful Sara Hershkowitz. Heartbreaking, she interprets Donna Anna with an unusual psychological finesse, which elevates the character. Gone are the tears and groans! Forgotten, the capricious girl looking sulky. Sara Hershkowitz gives Donna Anna the nobility and dignity that exudes from the Mozart score. Scorned and orphaned in one night, she takes her life resolutely in her hands. For this American soprano alone, it is worth the trip.
…The prize goes undeniably to the young American soprano Sara Hershkowitz. She embodies Donna Anna with a haughty dignity and gives the character a substance that one rarely sees: that of a victim who is neither teary, filled with hate, nor resigned.



(Materials data, kept here for reference)
# 1
Ho2Zr3Pb4: relaxed, PBE.

It has space group P2_1/c (No. 14), with a = 7.999 Å, b = 7.988 Å, c = 7.822 Å, α = 90.00°, β = 111.02° and γ = 90.00°. The inequivalent atoms are Ho at (0.183, 0.170, 0.052), Zr at (0.253, 0.672, 0.245), Zr at (0.500, 0.000, 0.500), Pb at (0.085, 0.534, 0.842) and Pb at (0.481, 0.142, 0.855).

Its volume is 25.9 Å³ per atom. The energy is -5.879 eV/atom. Its total moment is 0.00 μB/atom. For the energy of formation from the pure elements, the calculation gives -3.3 eV/f.u.

***

# 2
HoZrPb2: relaxed, PBE.

It has space group R-3m (No. 166, hexagonal axes), with a = 4.8793 Å, b = 4.8793 Å, c = 15.6805 Å, α = 90.00°, β = 90.00° and γ = 120.00°. The inequivalent atoms are Ho at (0.0000, 0.0000, 0.0000), Zr at (0.0000, 0.0000, 0.5000) and Pb at (0.0000, 0.0000, 0.2453).

Its volume is 26.9 Å³ per atom. The energy is -5.343 eV/atom. Its total moment is 0.00 μB/atom. For the energy of formation from the pure elements, the calculation gives -0.8 eV/f.u.

***

# 3
HoZrPb2: relaxed, PBE.

It has space group P4/mmm (No. 123), with a = 4.815 Å, b = 4.815 Å, c = 4.430 Å, α = 90.00°, β = 90.00° and γ = 90.00°. The inequivalent atoms are Ho at (0.000, 0.000, 0.000), Zr at (0.500, 0.500, 0.000) and Pb at (0.000, 0.500, 0.500).

Its volume is 25.7 Å³ per atom. The energy is -5.348 eV/atom. Its total moment is 0.00 μB/atom. For the energy of formation from the pure elements, the calculation gives -0.9 eV/f.u.

***

Which formula does entry 3 have?
HoZrPb2

***

Look up the volume of the third one.
25.7 Å³ per atom

***

What is the volume in the first record?
25.9 Å³ per atom

***

What did the second record say?
HoZrPb2: relaxed, PBE.

It has space group R-3m (No. 166, hexagonal axes), with a = 4.8793 Å, b = 4.8793 Å, c = 15.6805 Å, α = 90.00°, β = 90.00° and γ = 120.00°. The inequivalent atoms are Ho at (0.0000, 0.0000, 0.0000), Zr at (0.0000, 0.0000, 0.5000) and Pb at (0.0000, 0.0000, 0.2453).

Its volume is 26.9 Å³ per atom. The energy is -5.343 eV/atom. Its total moment is 0.00 μB/atom. For the energy of formation from the pure elements, the calculation gives -0.8 eV/f.u.

----------

This record from Alexandria via LeMat-Bulk describes V3Se2ClO8 after structural relaxation. The functional is GGA+U.

Values from the calculation:
* total magnetic moment: 6.00 μB per formula unit
* V: 18.87 Å³/atom
* N(E_F): 0.00 states/eV/f.u.
* raw total energy: -6.340 eV/atom

CIF file:
```
data_V3Se2ClO8
_symmetry_space_group_name_H-M 'P -1'
_symmetry_Int_Tables_number 2
_cell_length_a 6.789
_cell_length_b 7.912
_cell_length_c 9.848
_cell_angle_alpha 90.21
_cell_angle_beta 90.02
_cell_angle_gamma 92.88
loop_
_symmetry_equiv_pos_as_xyz
'x,y,z'
'-x,-y,-z'
loop_
_atom_site_label
_atom_site_type_symbol
_atom_site_fract_x
_atom_site_fract_y
_atom_site_fract_z
V1 V 0.000 0.000 0.000
V2 V 0.000 0.000 0.500
V3 V 0.242 0.186 0.251
V4 V 0.500 0.000 0.000
V5 V 0.500 0.000 0.500
Se1 Se 0.273 0.353 0.557
Se2 Se 0.273 0.353 0.945
Cl1 Cl 0.118 0.875 0.750

Last but not least, the ravishing and haughty Zanaida of Sara Hershkowitz contributes a fruity timbre, ideally emphasized in her arias with a pathos that lacked vapidity….The high point of the party was, of course, the sublime ‘Parto addio….’ staggeringly beautiful, as much vocal as instrumental.
— Emanuelle Pesqué, ODB Opera
The sculpture-like Sara Hershkowitz is a magnificent Zanaida who shines in her arias… Her nobility of expression evokes Veronique Gens, but less cold, and her farewells would bring tears to the eyes of a stone.
— Laurent Burry,
As Zanaida, the American soprano Sara Hershkowitz sang the Sultans daughter with assuredness in the coloratura, fully equipped with dignity and subliminal passion. Her lyric soprano voice shows individuality, a bit cool timbred, but self-confident, with a well-reined expressivity.
— Dominik Loger,
Sara Hershkowitz sang the title role with her warm, agile soprano and gracefully maneuvered the breakneck coloratura.
— Wiebke Küster,